In Britain and the United States, the organization of unions developed independent of politics. In places such as Germany, France, and Russia, however, political ideology spurred the development of unions. The predominant political ideology that influenced their growth was socialism. Today, socialism is a political theory that advocates the ownership of the means of production by the government. Socialism in the nineteenth century was somewhat different and took many forms. The only unifying features were a dislike of laissez-faire capitalism, a desire to improve the lives of the poor, and a belief that the government should be responsible for solving problems caused by capitalism and industrialization.
What comes next are calculated crystals, not part of the piece >
- - -
Simulated X-ray powder pattern of Ce3Ga2Tc2 for Cu Ka, from a crystal structure in Alexandria, relaxed with PBE.
Lines closer than 0.1° are merged.

Cell and atoms:
a b c (Å): 7.991 4.634 7.961
angles (deg): 90.00 109.45 90.00
Space group C2/m (No. 12)
Symmetry-distinct sites (fractional):
Ce 0.000 0.000 0.000 [2 per cell]
Ce 0.139 0.000 0.417 [4 per cell]
Ga 0.095 0.500 0.788 [4 per cell]
Tc 0.229 0.500 0.180 [4 per cell]

Largest 8 diffraction maxima, in order of rising 2θ, 10° ≤ 2θ ≤ 80°:
2θ/deg  I (rel.)  h k l
22.6  21.4  1 1 0
35.8  100.0  2 0 -3
38.9  36.3  0 2 0
39.0  71.8  3 1 -1
- - -
In the early nineteenth century, utopian socialism, which focused on perfecting society, dominated. French visionaries like Henri de Saint-Simon and Charles Fourier wrote of ideal societies based on sharing and cooperation. They sought to completely alter society and often advocated innovations like communal housing, free love, and women’s rights—all considered radical at the time. Some reformers tried to establish utopian communities based on these ideals. For example, Robert Owen, a British textile manufacturer, tried to put some of these ideas into practice in the British village of New Lanark, where the employees of his father-in-law’s textile mill lived, and in the town of New Harmony, Indiana. Residents worked an eight-hour day, lived in decent housing, and raised their children communally.
By the middle of the nineteenth century, utopian socialism had been largely replaced by scientific socialism. The term “scientific socialism” was first used by French economist and philosopher Pierre-Joseph Proudhon to refer to the ordering of society according to the dictates of reason and was popularized by Karl Marx and Friedrich Engels. Marx and Engels published their ideas in The Communist Manifesto in 1848, a year in which political revolutions swept Europe. As a result of these revolutions, voting rights for men were established or expanded in France and Prussia. By the end of the nineteenth century, men in France and Germany (which united with Prussia in 1871 to form the most powerful German-speaking state) had used the vote to change their countries. Many espoused the socialist ideology described by Marx and Engels.
Marx and Engels believed that historical change took place as a result of struggles between opposed social classes. In the age of industrialization, the struggle would take place between the bourgeoisie, who owned the means of industrial production such as the factories, mines, and railroads by which wealth was generated, and the proletariat, the underpaid workers whose labor they exploited. Marx and Engels believed capitalism would be destroyed when the have-nots rose up in revolution and overthrew their bourgeois oppressors. All people would then be equal, and all property would be held in common. Class divisions and class conflict would become a thing of the past. This philosophy became known as Marxism and formed the basic ideology of those who called themselves socialists in the second half of the nineteenth century.
**Misplaced records of crystals**
~~~
[1]
Structure and simulated PXRD pattern of Sc5HgS8 (a structure optimized by DFT (PBE); Cu Ka).
Intensities are scaled so that the largest is 100.

Crystal structure
Unit cell a=19.4605 b=3.7147 c=9.1350 alpha=90.00 beta=105.44 gamma=90.00
Space group Cm (No. 8)
Asymmetric unit:
Sc 0.0000 0.0000 0.0000 [2 per cell]
Sc 0.0476 0.0000 0.3881 [2 per cell]
Sc 0.1408 0.5000 0.7016 [2 per cell]
Sc 0.1886 0.5000 0.0899 [2 per cell]
Sc 0.3442 0.0000 0.0449 [2 per cell]
Hg 0.3456 0.5000 0.5456 [2 per cell]
S 0.0145 0.5000 0.5385 [2 per cell]
S 0.0759 0.5000 0.1921 [2 per cell]
S 0.1125 0.0000 0.8977 [2 per cell]
S 0.1738 0.0000 0.5511 [2 per cell]
S 0.2651 0.0000 0.2343 [2 per cell]
S 0.2650 0.5000 0.8982 [2 per cell]
S 0.4234 0.0000 0.8555 [2 per cell]
S 0.4234 0.5000 0.1914 [2 per cell]

Top 12 peaks for 15° ≤ 2θ ≤ 90°, in order of rising 2θ:
hkl 4 0 -1, 2θ = 18.92°, intensity 93; hkl 0 0 2, 2θ = 20.17°, intensity 49; hkl 4 0 -2, 2θ = 23.75°, intensity 37; hkl 2 0 2, 2θ = 24.47°, intensity 58; hkl 6 0 -2, 2θ = 30.34°, intensity 48; hkl 3 1 1, 2θ = 31.06°, intensity 100; hkl 3 1 -2, 2θ = 32.31°, intensity 62; hkl 1 1 2, 2θ = 32.70°, intensity 40; hkl 3 1 -3, 2θ = 38.74°, intensity 55; hkl 6 0 2, 2θ = 39.53°, intensity 34; hkl 3 1 3, 2θ = 44.69°, intensity 42; hkl 9 1 -1, 2θ = 48.75°, intensity 54

[2]
Structure and simulated PXRD pattern of NdY4Cd (a structure optimized by DFT (PBE); Cu Ka).
Intensities are scaled so that the largest is 100.

Crystal structure
Unit cell a=10.5632 b=6.1418 c=11.8202 alpha=90.00 beta=106.36 gamma=90.00
Space group C2/c (No. 15)
Asymmetric unit:
Nd 0.2500 0.2500 0.0000 [4 per cell]
Y 0.0804 0.2443 0.5030 [8 per cell]
Y 0.1653 0.4159 0.2508 [8 per cell]
Cd 0.0000 0.0756 0.7500 [4 per cell]

Top 12 peaks for 15° ≤ 2θ ≤ 90°, in order of rising 2θ:
hkl 3 1 0, 2θ = 30.17°, intensity 37; hkl 3 1 -2, 2θ = 30.42°, intensity 19; hkl 0 0 4, 2θ = 31.55°, intensity 49; hkl 0 2 2, 2θ = 33.14°, intensity 100; hkl 3 1 -3, 2θ = 33.53°, intensity 47; hkl 3 1 2, 2θ = 37.59°, intensity 10; hkl 3 3 -1, 2θ = 51.65°, intensity 24; hkl 6 0 -2, 2θ = 51.95°, intensity 12; hkl 0 2 6, 2θ = 57.23°, intensity 10; hkl 6 0 2, 2θ = 61.53°, intensity 21; hkl 3 3 -5, 2θ = 62.05°, intensity 13; hkl 6 2 0, 2θ = 62.74°, intensity 15

----------

Record 1
For LaCoO3, a cell relaxed with PBE+U gives the calculated PXRD pattern in this record (Cu Ka).
Kinematic intensities with the Lorentz-polarization factor, no thermal factor.

Principal peaks in the range 2θ = 5–70°, in order of falling intensity:
| 2theta | I/Imax | h k l |
| --- | --- | --- |
| 32.47 | 100 | 1 2 1 |
| 57.68 | 32 | 1 2 3 |
| 46.64 | 30 | 2 0 2 |
| 32.76 | 24 | 2 0 0 |
| 32.26 | 23 | 0 0 2 |
| 22.81 | 18 | 0 2 0 |
| 58.29 | 18 | 3 2 1 |
| 67.99 | 16 | 2 4 2 |
| 46.51 | 14 | 0 4 0 |
| 40.27 | 11 | 2 2 0 |

Crystal structure
```
data_LaCoO3
_chemical_formula_sum 'La4 Co4 O12'
_cell_length_a 5.4674
_cell_length_b 7.8097
_cell_length_c 5.5501
_cell_angle_alpha 90.00
_cell_angle_beta 90.00
~~~
Marx never attempted to put his philosophy into practice. However, during the period of the Second Industrial Revolution, many workers turned to his ideas as a basis on which to organize unions and establish political parties. In 1864, socialists founded the International Workingmen’s Association (IWA) in London. Many different types of socialists belonged to the IWA, including Marx, and conflict soon arose over a variety of issues. Some socialists advocated the use of violence to effect change, while others advocated more peaceful, democratic means. Those who favored peaceful means are often called social democrats.
One of the largest and most influential of the political parties that espoused social democracy was the German Social Democratic Party. Formed in 1875, it advocated laws to improve the conditions of the working class, and many of its members were elected to the German parliament. One of their chief goals was to reduce the number of hours people worked, and they were active in establishing many trade unions and passing laws to protect workers. Similar parties formed in other countries. The Federation of the Socialist Workers of France (FSWF) was established in 1879. The Social Democratic Party of Austria was founded in 1889.
These parties competed for workers’ support with those that advocated more revolutionary action. The French Workers’ Party was established in 1880 to provide an alternative to the more gradual path to socialism favored by the FSWF. The Russian Social Democratic Labor Party, established in 1898, united many smaller socialist organizations. The Socialist Revolutionary Party, which engaged in the assassination of government officials, formed in Russia in 1902. It ignored Marx’s emphasis on industrial workers and sought to organize peasants as well. Most Russian socialist groups that took a more orthodox Marxist approach became members of the Russian Social Democratic Labor Party when it formed in 1898. The Bolshevik faction of this party, which advocated revolution, gained control of the Russian government in 1917.
Another source of conflict among socialists was the role to be played by government in the construction of the ideal socialist state. Although Marx wrote of government eventually disappearing once class divisions had been erased and equality achieved, he also indicated that, until then, a government of the workers would be needed to manage society. Some socialists feared the existence of this new government would simply lead to the creation of a new group of authorities to oppress the people. They believed government should be abolished, an ideology known as anarchism. One of the foremost anarchists of the nineteenth century was Mikhail Bakunin, a Russian revolutionary. Bakunin joined the IWA in 1868. However, he clashed with Marx over the role government should play in bringing about socialism. In 1872, at the Fifth Congress of the IWA, his disagreement with Marx led to his expulsion from the group.
Next to the entry, the page also holds calculated crystals =
........
1.
Diffraction record for K16Na12Pb. The PXRD pattern is simulated, not measured: it uses DFT lattice parameters and positions (PBE) and a wavelength of 1.5418 Å.
Neutral-atom scattering factors, no anomalous dispersion.

Peak list (12 most intense, 2θ from 10° to 80°, most intense first)
2θ = 25.66°, rel. 100, (3 3 0); 2θ = 26.11°, rel. 97, (3 3 -3); 2θ = 26.28°, rel. 82, (1 5 -2); 2θ = 25.87°, rel. 72, (4 2 -2); 2θ = 25.51°, rel. 58, (0 0 3); 2θ = 14.84°, rel. 40, (1 1 -2); 2θ = 14.59°, rel. 35, (1 1 1); 2θ = 29.42°, rel. 35, (2 2 2); 2θ = 15.11°, rel. 29, (1 3 -1); 2θ = 45.87°, rel. 29, (2 8 2); 2θ = 14.94°, rel. 29, (2 2 -1); 2θ = 45.49°, rel. 24, (1 5 -5)

```
data_K16Na12Pb
_cell_length_a 14.669
_cell_length_b 20.180
_cell_length_c 12.661
_cell_angle_alpha 90.00
_cell_angle_beta 124.08
_cell_angle_gamma 90.00
_symmetry_space_group_name_H-M 'C 1 m 1'
_symmetry_Int_Tables_number 8
_symmetry_space_group_name_Hall 'C -2y'
loop_
_atom_site_label
_atom_site_type_symbol
_atom_site_fract_x
_atom_site_fract_y
_atom_site_fract_z
K1 K 0.000 0.000 0.000
K2 K 0.016 0.000 0.368
K3 K 0.037 0.310 0.672
K4 K 0.060 0.394 0.399
K5 K 0.216 0.206 0.041
K6 K 0.307 0.000 0.055
K7 K 0.328 0.322 0.366
K8 K 0.358 0.341 0.773
K9 K 0.416 0.000 0.676
K10 K 0.458 0.145 0.961
Na1 Na 0.007 0.192 0.189
Na2 Na 0.108 0.094 0.710
Na3 Na 0.173 0.500 0.198
Na4 Na 0.197 0.184 0.535
Na5 Na 0.245 0.415 0.981
Na6 Na 0.254 0.092 0.328
Na7 Na 0.344 0.500 0.586
Pb1 Pb 0.194 0.500 0.720
```

2.
Diffraction record for Li13Al3. The PXRD pattern is simulated, not measured: it uses DFT lattice parameters and positions (PBE) and a wavelength of 1.5418 Å.
Neutral-atom scattering factors, no anomalous dispersion.

Peak list (12 most intense, 2θ from 10° to 80°, most intense first)
2θ = 39.27°, rel. 100, (2 2 2); 2θ = 16.75°, rel. 59, (0 1 1); 2θ = 19.05°, rel. 37, (0 2 0); 2θ = 25.64°, rel. 34, (2 1 1); 2θ = 39.11°, rel. 26, (4 0 0); 2θ = 38.65°, rel. 25, (0 4 0); 2θ = 19.33°, rel. 19, (2 0 0); 2θ = 37.63°, rel. 19, (2 3 1); 2θ = 70.97°, rel. 17, (6 2 2); 2θ = 56.16°, rel. 17, (4 4 0); 2θ = 70.36°, rel. 16, (2 6 2); 2θ = 34.01°, rel. 15, (2 0 2)

```
data_Li13Al3
_cell_length_a 9.213
_cell_length_b 9.318
_cell_length_c 6.429
_cell_angle_alpha 90.00
_cell_angle_beta 90.00
_cell_angle_gamma 90.00
_symmetry_space_group_name_H-M 'A m m 2'
_symmetry_Int_Tables_number 38
_symmetry_space_group_name_Hall 'A 2 -2'
loop_
_atom_site_label
_atom_site_type_symbol
_atom_site_fract_x
_atom_site_fract_y
_atom_site_fract_z
Li1 Li 0.000 0.000 0.000
Li2 Li 0.000 0.000 0.523
Li3 Li 0.000 0.220 0.261
Li4 Li 0.253 0.241 0.007
Li5 Li 0.255 0.000 0.753
Li6 Li 0.500 0.000 0.517
Li7 Li 0.500 0.235 0.266
Al1 Al 0.251 0.000 0.263
Al2 Al 0.500 0.000 0.013
```

3.
Diffraction record for Ba3Cd2Ag9. The PXRD pattern is simulated, not measured: it uses DFT lattice parameters and positions (PBE) and a wavelength of 1.5418 Å.
Neutral-atom scattering factors, no anomalous dispersion.
........
The entry goes on =
Business owners and members of the middle and upper classes in general disapproved of and feared socialist and anarchist movements. They believed business owners performed a valuable service by providing goods and services at reasonable prices, making the economy prosper, and keeping their countries strong and competitive. They were thus entitled to earn what they believed was a fair profit for assuming the financial risks of engaging in business. To do that while keeping prices low, they could not pay wages as high as their employees would have liked.
Opponents of socialism and anarchism argued further that workers were free to accept the terms of employment or leave if not satisfied. If business owners were not allowed to earn a profit, they would not take the financial risks on which the economy depended. If people were not allowed to accumulate private property, they would lack the incentive to work. Violence and the destruction of property benefited no one. Workers would be better served by striving to improve their position and that of their children through education and the habits of thrift and self-discipline than by listening to the promises of demagogues who preached disloyalty to employers and spun utopian fantasies of workers’ paradises.
The content of this course has been taken from the free World History, Volume 2: from 1400 textbook by Openstax